Prof. Dr. Hanspeter Schmid
Prof. Dr. Hanspeter Schmid
Activities at FHNW
Lecturer for Microelectronics and Signal Processing at the FHNW Institute for Sensors and Electronics
- Signal Processing
- Analog Circuits
- Mixed-Signal Circuits
- Analog Signal Processing and Filtering (ETH Zurich)
Hanspeter Schmid received the diploma in electrical engineering in 1994, the post-graduate degree in information technologies in 1999, and the degree Doctor of Technical Sciences in 2000, all from the Swiss Federal Institute of Technology (ETH Zurich), Switzerland.
He joined the Signal and Information Processing Laboratory of the ETH Zurich as a teaching assistant in 1994 and later became a research assistant and junior lecturer in the field of analog integrated filters.
From 2000-2005, he was an analog-IC designer with Bernafon AG, Switzerland, where he was part of a design team who developed a new IC platform for hearing aids. In that team he worked on audio low-noise amplifiers and voltage regulators in particular and on full-system signal integrity in general.
He joined the Institute of Microelectronics of the FHNW University of Applied Sciences and Arts Northwestern Switzerland as a research fellow in 2005 and became a full professor in February 2012. He is also a part-time senior lecturer at ETH Zurich (Analog Signal Processing and Filtering). His main research interests are fast low-power circuits (mainly for sensor electronics), signal integrity in analog signal processing, and sigma-delta modulation.
Hanspeter Schmid was IEEE CAS Analog Signal Processing Technical Committee Co-Chair from 2008-2010; he was an Associate Editor of TCAS-I from 2007-2011 and TCAS-II from 2016-2017; he was a member of the standing ESSCIRC technical committee (sensors and imagers group) until 2019, and in 2011-2012 he was a Distinguished Lecturer of the IEEE CAS Society.
Hobbies: Playing the trombone, reading, playing go (also called igo, baduk and weiqi).
No peer reviewed content available
Peer reviewed[1]H. Schmid and A. Huber, “Analysis of switched-capacitor circuits using driving-point signal-flow graphs,” Analog Integrated Circuits and Signal Processing, vol. 96, pp. 495–507, 2018, doi: 10.1007/s10470-018-1131-7.
Peer reviewed[2]H. Schmid, L. Eichelberger, and A. Huber, “A tutorial to switched-capacitor noise analysis by hand,” Analog Integrated Circuits and Signal Processing, vol. 89, pp. 249–261, 2016, doi: 10.1007/s10470-016-0806-1.
Peer reviewed[3]H. Schmid, “Two curious integrals and a graphic proof,” Elemente der Mathematik, vol. 69, no. 1, pp. 11–17, Jan. 2014, Available:
[4]H. Schmid and A. Huber, “Measuring a Small Number of Samples, and the 3σ Fallacy. Shedding Light on Confidence and Error Intervals,” IEEE Solid-State Circuits Magazine, vol. 6, no. 2, pp. 52–58, 2014, Available:
[5]H. Schmid and A. Huber, “The 3 σ Fallacy: Measuring a Small Number of Samples,” IEEE Microwave Magazine, vol. 15, no. 7, pp. 68–74, 2014, Available:
Peer reviewed[6]H. Schmid, “Electrical and human feedback (invited paper),” in Proc. NORCHIP, Copenhagen, 2012, pp. 1–10. Available:
[7]H. Schmid, “How to use the FFT and Matlab’s pwelch function for signal and noise simulations and measurements,” Fachhochschule Nordwestschweiz FHNW, IME, 2012. Available:
[8]H. Schmid and A. Huber, “Sigma-Delta-Wandler: nicht lineare gemischt analog/digitale Filter,” Polyscope, no. 1, Swiss Professional Media, pp. 44–45, 2012. Available:
[9]H. Schmid and A. Huber, “Sigma-Delta-Wandler und ihre Macken,” Polyscope, no. 7, Swiss Professional Media, pp. 30–31, 2012. Available:
[10]H. Schmid and A. Huber, “Kreisverstärkung und Faustregeln,” Polyscope, no. 11, Swiss Professional Media, pp. 36–37, 2011. Available:
[11]H. Schmid and A. Huber, “Wie stelle ich meine Signale elektronisch dar?,” Polyscope, no. 14, Swiss Professional Media, pp. 26–27, 2011. Available:
[12]H. Schmid, “Switched-Capacitor-Schaltungen -- elektronische Eimerketten,” Polyscope, no. 21, Swiss Professional Media, pp. 36–38, 2011. Available:
[13]H. Schmid and A. Huber, “Das Tor zum Hightech-Markt,” Polyscope, no. 5, Swiss Professional Media, pp. 24–25, 2011. Available:
Peer reviewed[14]M. Pastre, M. Kayal, H. Schmid, P. Zwahlen, Y. Dong, and A.-M. Nguyen, “A navigation-grade MEMS accelerometer based on a versatile front end,” in Proc. IECON, Melbourne, 2011, pp. 4038–4043. Available:
[15]H. Schmid and A. Huber, “Feedback -- ganz einfach,” Polyscope, no. 8, Swiss Professional Media, pp. 42–43, 2011. Available:
[16]H. Schmid, “The SKILL of doing cross sections through a layout,” presented at the CDNLive, Munich, 2010. Available:
Peer reviewed[17]S. Nigg et al., “Navigation grade MEMS accelerometer,” in 2010 IEEE 23rd International Conference on Micro Electro Mechanical Systems (MEMS), IEEE, 2010, pp. 631–634. doi: 10.1109/MEMSYS.2010.5442327.
Peer reviewed[18]H. Schmid, S. Sigel, M. Pastre, M. Kayal, P. Zwahlen, and A.-M. Nguyen, “An internally non-linear ADC for a ΣΔ accelerometer loop,” in Proc. ISCAS, IEEE, IEEE, 2010, pp. 2155–2158. doi: 10.1109/ISCAS.2010.5537224.
Peer reviewed[19]H. Schmid, “Efficient simulation of harmonic distortion in discrete-time circuits,” in Proc. ISCAS, Taipei, 2009, pp. 2757–2760. Available:
Peer reviewed[20]M. Pastre et al., “A 300 Hz 19 b DR capacitive accelerometer based on a versatile front end in a 5th-order DeltaSigma loop,” in Proc. ESSCIRC, Athens, 2009, pp. 288–291. Available:
[21]H. Schmid, “Analog Circuit Design on Digital CMOS: Why it is difficult, and which ideas help,” presented at the ISCAS Tutorial (Updated version of the 2007 tutorial), Taipei, 2009. Available:
[22]H. Schmid and A. Huber, Analoge Schaltungstechnik für integrierte Schaltungen, vol. 1. Fachhochschule Nordwestschweiz FHNW, IME, 2008. Available:
[23]H. Schmid, “Aaargh! I just loooove flicker noise (Open Column),” IEEE Circuits and Systems Magazine, vol. 7, no. 1, pp. 32–35, 2007, Available:
Peer reviewed[24]H. Schmid, “Why ‘Current Mode’ does not guarantee good performance,” Analog Integrated Circuits and Signal Processing, vol. 35, no. 1, pp. 79–90, 2003, Available:
Peer reviewed[25]H. Schmid, “An 8.25-MHz 7th-order Bessel filter built with single-amplifier biquadratic MOSFET-C filters,” Analog Integrated Circuits and Signal Processing, vol. 30, no. 1, pp. 69–81, 2002, Available:
Peer reviewed[26]H. Schmid, “Approximating the universal active element,” IEEE Transactions on Circuits and Systems II, vol. 47, no. 11, pp. 1160–1169, 2000, Available:
No peer reviewed content available
[1]H. Schmid, “Electrical and Human Feedback -- How feedback solves some problems and creates new ones in circuits and design groups,” presented at the IEEE Distinguished Lecturer Program 2011-2012, 2011. Available:
[2]H. Schmid, “The Current-Mode Story -- How current-mode was created, how it changed, and how it is disappearing again,” presented at the Lecture in the IEEE Distinguished Lecturer Program 2011-2012, 2011. Available:
No peer reviewed content available
[1]H. Schmid, “signalflowgrapher.” 2020. Available:
Prof. Dr. Hanspeter Schmid
- Lecturer for Microelectronics and Signal Processing
(Inserted here: crystal structures)
........
Record 1
Computed XRD peak list of LiPuPdPb for CuKα, from a crystal structure in Alexandria, relaxed with PBE.
No peak broadening, texture or thermal motion is included.

Most intense lines, 15 to 90 degrees two-theta, by angle:
(1 1 1), 22.23 deg, 3.999 Å, I = 9
(2 0 0), 25.72 deg, 3.463 Å, I = 42
(2 2 0), 36.70 deg, 2.449 Å, I = 100
(2 2 2), 45.35 deg, 2.000 Å, I = 13
(4 0 0), 52.87 deg, 1.732 Å, I = 18
(4 2 0), 59.70 deg, 1.549 Å, I = 18
(4 2 2), 66.08 deg, 1.414 Å, I = 37
(4 4 0), 78.04 deg, 1.225 Å, I = 12
(6 0 0), 83.79 deg, 1.154 Å, I = 9
(6 2 0), 89.48 deg, 1.095 Å, I = 17

Cell and atoms:
abc: 6.927 6.927 6.927
angles: 90.00 90.00 90.00
Sites, in units of the cell vectors:
Li  0.000  0.000  0.000
Li  0.000  0.500  0.500
Li  0.500  0.000  0.500
Li  0.500  0.500  0.000
Pu  0.250  0.250  0.750
Pu  0.250  0.750  0.250
Pu  0.750  0.250  0.250
Pu  0.750  0.750  0.750
Pd  0.000  0.000  0.500
Pd  0.000  0.500  0.000
Pd  0.500  0.000  0.000
Pd  0.500  0.500  0.500
Pb  0.250  0.250  0.250
Pb  0.250  0.750  0.750
Pb  0.750  0.250  0.750
Pb  0.750  0.750  0.250

---

Record 2
Computed XRD peak list of Li2Pm3Pb3 for CuKα, from a crystal structure in Alexandria, relaxed with PBE.
No peak broadening, texture or thermal motion is included.

Most intense lines, 15 to 90 degrees two-theta, by angle:
(0 0 6), 27.40 deg, 3.255 Å, I = 35
(1 1 2), 28.69 deg, 3.112 Å, I = 50
(1 1 4), 32.88 deg, 2.724 Å, I = 100
(0 2 0), 37.16 deg, 2.419 Å, I = 24
(2 0 0), 40.37 deg, 2.234 Å, I = 19
(0 2 6), 46.78 deg, 1.942 Å, I = 17
(2 0 6), 49.48 deg, 1.842 Å, I = 14
(1 1 10), 54.68 deg, 1.679 Å, I = 24
(2 2 0), 56.03 deg, 1.641 Å, I = 15
(1 3 4), 64.29 deg, 1.449 Å, I = 15

Cell and atoms:
abc: 4.468 4.839 19.531
angles: 90.00 90.00 90.00
Sites, in units of the cell vectors:
Li  0.000  0.000  0.249
Li  0.000  0.000  0.751
Li  0.500  0.500  0.251
Li  0.500  0.500  0.749
Pm  0.000  0.000  0.000
Pm  0.000  0.500  0.138
Pm  0.000  0.500  0.862
Pm  0.500  0.000  0.362
Pm  0.500  0.000  0.638
Pm  0.500  0.500  0.500
Pb  0.000  0.000  0.500
Pb  0.000  0.500  0.343
Pb  0.000  0.500  0.657
Pb  0.500  0.000  0.157
Pb  0.500  0.000  0.843
Pb  0.500  0.500  0.000
........
- Telephone
- +41 56 202 75 34 (direct)
- aGFuc3BldGVyLnNjaG1pZEBmaG53LmNo
- FHNW University of Applied Sciences and Arts Northwestern Switzerland
School of Engineering and Environment
Klosterzelgstrasse 2
CH-5210 Windisch